- - -
No. 1
{
  "formula": "C26H28N7O3Sc",
  "method": "ωB97M-V/def2-TZVPD",
  "elements": ["H", "N", "H", "H", "C", "C", "C", "C", "H", "Sc", "H", "H", "H", "C", "H", "C", "C", "H", "C", "H", "H", "C", "C", "C", "C", "O", "H", "H", "C", "C", "C", "H", "H", "N", "H", "H", "O", "N", "C", "H", "H", "H", "C", "C", "C", "C", "C", "O", "N", "H", "N", "C", "C", "H", "N", "H", "C", "H", "H", "C", "N", "H", "H", "H", "C"],
  "xyz": [[-3.772381, -2.854301, -2.775021], [-0.834399, 3.309342, 0.961002], [2.637786, 1.797792, -2.898200], [2.932922, -2.579708, -1.560242], [2.049237, -2.103613, -1.992412], [-1.566435, 0.186265, 2.314248], [-0.266505, -1.792058, 2.274619], [2.357945, -0.623856, -2.207119], [2.891848, -1.462997, 1.385153], [0.635790, 0.285767, 0.248852], [3.159173, 1.389680, -4.541643], [1.801632, -2.607314, -2.926580], [4.781805, -0.883231, -4.222982], [3.315332, 1.186705, -3.483551], [-3.510370, -0.298945, 4.417345], [1.997237, -1.973187, 1.731031], [-1.267395, -1.515542, -1.332204], [3.982756, 4.007509, -0.807492], [2.063971, -3.269766, 2.157450], [-0.566699, -3.495449, -0.885678], [-0.228231, -2.971508, -2.550091], [-1.310614, 2.277626, 1.557877], [-3.975741, 3.072316, 4.144265], [-0.259732, -2.651558, -1.506437], [-0.265085, -3.140321, 2.682959], [1.905236, 0.187918, -1.357381], [3.284901, 1.849153, 0.134446], [-0.067841, 5.359408, -0.321887], [-4.137846, 1.770071, 4.604048], [-3.536566, -0.694557, -1.246990], [0.374570, 3.375882, 0.329516], [4.342689, 1.440218, -3.220387], [-4.537355, 3.871842, 4.608476], [-0.872573, 0.972242, 1.426324], [3.004364, -3.801151, 2.150342], [-2.949253, 4.387717, 2.765704], [-0.820674, -0.390365, -0.991261], [-2.545669, -1.739845, -1.512211], [-3.088604, 3.373242, 3.113613], [-4.211048, -1.035137, -0.461204], [-3.685440, -3.452054, -1.112749], [-1.180356, -3.533955, 3.099723], [2.559535, 2.640506, -0.011906], [0.701129, 4.602687, -0.274081], [-3.106509, -3.019721, -1.929271], [2.948852, 3.841303, -0.541260], [3.723707, -1.138763, -4.177390], [1.008635, -2.230863, -1.044900], [1.291550, 2.365488, 0.372450], [-4.829997, 1.571545, 5.411473], [3.066404, -0.235675, -3.239658], [-3.413880, 0.715481, 4.054619], [0.888407, -3.879103, 2.612681], [-2.340824, -3.727019, -2.234306], [-1.383710, -1.069226, 2.565529], [3.633278, -2.178762, -3.876825], [-2.390007, 2.323031, 2.553921], [-3.044427, 0.217987, -0.931418], [0.903502, -4.909623, 2.942189], [-2.550515, 1.015917, 3.021025], [0.858502, -1.238415, 1.733067], [3.305092, -1.016823, -5.176568], [2.244849, 5.785098, -1.156639], [-4.115052, -0.498196, -2.148703], [1.979097, 4.832872, -0.717298]],
- - -
Quote the whole of the rows further up unchanged.
No. 1
{
  "formula": "C26H28N7O3Sc",
  "method": "ωB97M-V/def2-TZVPD",
  "elements": ["H", "N", "H", "H", "C", "C", "C", "C", "H", "Sc", "H", "H", "H", "C", "H", "C", "C", "H", "C", "H", "H", "C", "C", "C", "C", "O", "H", "H", "C", "C", "C", "H", "H", "N", "H", "H", "O", "N", "C", "H", "H", "H", "C", "C", "C", "C", "C", "O", "N", "H", "N", "C", "C", "H", "N", "H", "C", "H", "H", "C", "N", "H", "H", "H", "C"],
  "xyz": [[-3.772381, -2.854301, -2.775021], [-0.834399, 3.309342, 0.961002], [2.637786, 1.797792, -2.898200], [2.932922, -2.579708, -1.560242], [2.049237, -2.103613, -1.992412], [-1.566435, 0.186265, 2.314248], [-0.266505, -1.792058, 2.274619], [2.357945, -0.623856, -2.207119], [2.891848, -1.462997, 1.385153], [0.635790, 0.285767, 0.248852], [3.159173, 1.389680, -4.541643], [1.801632, -2.607314, -2.926580], [4.781805, -0.883231, -4.222982], [3.315332, 1.186705, -3.483551], [-3.510370, -0.298945, 4.417345], [1.997237, -1.973187, 1.731031], [-1.267395, -1.515542, -1.332204], [3.982756, 4.007509, -0.807492], [2.063971, -3.269766, 2.157450], [-0.566699, -3.495449, -0.885678], [-0.228231, -2.971508, -2.550091], [-1.310614, 2.277626, 1.557877], [-3.975741, 3.072316, 4.144265], [-0.259732, -2.651558, -1.506437], [-0.265085, -3.140321, 2.682959], [1.905236, 0.187918, -1.357381], [3.284901, 1.849153, 0.134446], [-0.067841, 5.359408, -0.321887], [-4.137846, 1.770071, 4.604048], [-3.536566, -0.694557, -1.246990], [0.374570, 3.375882, 0.329516], [4.342689, 1.440218, -3.220387], [-4.537355, 3.871842, 4.608476], [-0.872573, 0.972242, 1.426324], [3.004364, -3.801151, 2.150342], [-2.949253, 4.387717, 2.765704], [-0.820674, -0.390365, -0.991261], [-2.545669, -1.739845, -1.512211], [-3.088604, 3.373242, 3.113613], [-4.211048, -1.035137, -0.461204], [-3.685440, -3.452054, -1.112749], [-1.180356, -3.533955, 3.099723], [2.559535, 2.640506, -0.011906], [0.701129, 4.602687, -0.274081], [-3.106509, -3.019721, -1.929271], [2.948852, 3.841303, -0.541260], [3.723707, -1.138763, -4.177390], [1.008635, -2.230863, -1.044900], [1.291550, 2.365488, 0.372450], [-4.829997, 1.571545, 5.411473], [3.066404, -0.235675, -3.239658], [-3.413880, 0.715481, 4.054619], [0.888407, -3.879103, 2.612681], [-2.340824, -3.727019, -2.234306], [-1.383710, -1.069226, 2.565529], [3.633278, -2.178762, -3.876825], [-2.390007, 2.323031, 2.553921], [-3.044427, 0.217987, -0.931418], [0.903502, -4.909623, 2.942189], [-2.550515, 1.015917, 3.021025], [0.858502, -1.238415, 1.733067], [3.305092, -1.016823, -5.176568], [2.244849, 5.785098, -1.156639], [-4.115052, -0.498196, -2.148703], [1.979097, 4.832872, -0.717298]],